[Entries]
'''
Entry 1:
VASP calculation (GGA-PBE) on a relaxed Na5Ga3GeP6O24 crystal.

Properties
- Total energy after the MP2020 corrections: -6.9292 eV per atom
- Formation energy from the elements: -2530 meV/atom

a b c (Å): 8.6553 8.6559 21.7502
angles (deg): 89.95 89.97 120.02
Closest atoms and distances in Å follow each position.
Element x y z (fractional)
O 0.7790 0.9552 0.6919  1 P 1.56
O 0.7049 0.1717 0.0269  1 P 1.56
O 0.8290 0.0371 0.8062  1 P 1.53
O 0.7048 0.5336 0.5275  1 P 1.56
O 0.6392 0.4926 0.9227  1 P 1.57
O 0.3111 0.4830 0.7584  1 P 1.60
O 0.1713 0.2174 0.6943  1 P 1.55
O 0.3022 0.4582 0.4734  1 P 1.53
O 0.8500 0.4918 0.4246  1 P 1.57
O 0.5429 0.6955 0.9760  1 P 1.54
O 0.5439 0.8486 0.4758  1 P 1.54
O 0.8291 0.5350 0.0266  1 P 1.56
O 0.8089 0.8312 0.9101  1 P 1.53
O 0.3737 0.8766 0.8593  1 P 1.57
O 0.1890 0.0236 0.5879  1 P 1.54
O 0.1886 0.1655 0.0873  1 P 1.54
O 0.4787 0.1676 0.2438  1 P 1.56
O 0.1691 0.1879 0.4111  1 P 1.53
O 0.4920 0.3711 0.1411  1 P 1.55
O 0.9689 0.8067 0.0876  1 P 1.54
O 0.6334 0.5119 0.6429  1 P 1.54
O 0.0213 0.1910 0.9105  1 P 1.52
O 0.5074 0.1464 0.9230  1 P 1.57
O 0.1521 0.6961 0.4758  1 P 1.54
O 0.4642 0.1662 0.5250  1 P 1.55
O 0.0387 0.8207 0.6908  1 P 1.55
O 0.5213 0.6892 0.2557  1 P 1.55
O 0.8121 0.9808 0.4115  1 P 1.53
O 0.4815 0.3194 0.7447  1 P 1.54
O 0.9686 0.1617 0.5887  1 P 1.55
O 0.2088 0.0407 0.3061  1 P 1.52
O 0.8324 0.3118 0.2439  1 P 1.56
O 0.3721 0.4847 0.3572  1 P 1.56
O 0.8295 0.2939 0.5273  1 P 1.56
O 0.0187 0.8306 0.4116  1 P 1.53
O 0.6426 0.1500 0.4240  1 P 1.57
O 0.3576 0.4987 0.0766  1 P 1.56
O 0.1535 0.4569 0.9759  1 P 1.54
O 0.7850 0.8245 0.1902  1 P 1.56
O 0.9602 0.1666 0.3048  1 P 1.52
O 0.6890 0.1670 0.7441  1 P 1.54
O 0.4967 0.1227 0.6393  1 P 1.54
O 0.9629 0.7937 0.8059  1 P 1.52
O 0.4669 0.2992 0.0257  1 P 1.54
O 0.8392 0.5219 0.7449  1 P 1.56
O 0.6323 0.1204 0.1423  1 P 1.54
O 0.5048 0.6295 0.8587  1 P 1.58
O 0.1143 0.6282 0.3586  1 P 1.56
O 0.0388 0.2152 0.1902  1 P 1.56
O 0.8803 0.3722 0.6420  1 P 1.56
O 0.1676 0.4790 0.2558  1 P 1.55
O 0.1410 0.6373 0.0762  1 P 1.54
O 0.8807 0.5086 0.1414  1 P 1.56
O 0.1720 0.9576 0.1926  1 P 1.55
O 0.1692 0.9779 0.9100  1 P 1.52
O 0.5141 0.8852 0.3585  1 P 1.56
O 0.1243 0.4952 0.8587  1 P 1.58
O 0.8534 0.3614 0.9232  1 P 1.57
O 0.3011 0.8443 0.9746  1 P 1.53
O 0.8334 0.8076 0.5877  1 P 1.56
O 0.8333 0.7936 0.3048  1 P 1.52
O 0.5183 0.8241 0.7587  1 P 1.58
O 0.3565 0.8583 0.5763  1 P 1.56
O 0.1727 0.6871 0.7583  1 P 1.58
O 0.1411 0.5033 0.5764  1 P 1.54
O 0.8331 0.0261 0.0870  1 P 1.56
O 0.3120 0.8325 0.2566  1 P 1.56
O 0.5081 0.3590 0.4240  1 P 1.57
O 0.6888 0.5212 0.2436  1 P 1.56
O 0.4998 0.8542 0.0767  1 P 1.54
O 0.2082 0.1754 0.8085  1 P 1.51
O 0.4999 0.6455 0.5769  1 P 1.54
P 0.0002 0.2903 0.2498  4 O 1.52-1.56
P 0.3340 0.9590 0.9174  4 O 1.52-1.57
P 0.0407 0.3751 0.9178  4 O 1.52-1.58
P 0.6623 0.0432 0.0825  4 O 1.54-1.56
P 0.6276 0.9626 0.4179  4 O 1.53-1.57
P 0.7058 0.9987 0.7510  4 O 1.53-1.58
P 0.0055 0.7127 0.7509  4 O 1.52-1.58
P 0.9574 0.6237 0.0822  4 O 1.54-1.56
P 0.2898 0.9994 0.2506  4 O 1.52-1.56
P 0.0373 0.6646 0.4181  4 O 1.53-1.57
P 0.9572 0.3338 0.5830  4 O 1.54-1.56
P 0.3775 0.0474 0.5821  4 O 1.54-1.56
P 0.6250 0.6659 0.9176  4 O 1.53-1.58
P 0.3350 0.3728 0.4173  4 O 1.53-1.57
P 0.2912 0.2895 0.7519  4 O 1.51-1.60
P 0.3771 0.3297 0.0821  4 O 1.54-1.56
P 0.7100 0.7103 0.2498  4 O 1.52-1.56
P 0.6624 0.6190 0.5832  4 O 1.54-1.56
Ge 0.6649 0.3321 0.9778  6 O 1.90-1.93
Ge 0.3342 0.6730 0.8180  6 O 1.85-2.03
Ge 0.6643 0.3324 0.4789  6 O 1.89-1.93
Na 0.9986 0.3621 0.7498  6 O 2.35-2.62
Na 0.6392 0.6346 0.7495  6 O 2.35-2.63
Na 0.0005 0.6352 0.2525  6 O 2.36-2.64
Na 0.3333 0.6662 0.6649  6 O 2.46-2.53
Na 0.6663 0.3333 0.3378  6 O 2.40-2.56
Na 0.0335 0.7016 0.5820  6 O 2.33-2.57
Na 0.6343 0.9998 0.2525  6 O 2.36-2.62
Na 0.6647 0.9654 0.5818  5 O 2.31-2.53
Na 0.3652 0.3655 0.2529  5 O 2.36-2.48
Na 0.0078 0.9990 0.9959  6 O 2.39-2.57
Na 0.0079 0.0087 0.4966  6 O 2.37-2.57
Na 0.0336 0.3318 0.0821  6 O 2.33-2.57
'''
[Job]
It remains to return the entries earlier on from the line with "0.2088 0.0407" to the end verbatim.
[Solution]
O 0.2088 0.0407 0.3061  1 P 1.52
O 0.8324 0.3118 0.2439  1 P 1.56
O 0.3721 0.4847 0.3572  1 P 1.56
O 0.8295 0.2939 0.5273  1 P 1.56
O 0.0187 0.8306 0.4116  1 P 1.53
O 0.6426 0.1500 0.4240  1 P 1.57
O 0.3576 0.4987 0.0766  1 P 1.56
O 0.1535 0.4569 0.9759  1 P 1.54
O 0.7850 0.8245 0.1902  1 P 1.56
O 0.9602 0.1666 0.3048  1 P 1.52
O 0.6890 0.1670 0.7441  1 P 1.54
O 0.4967 0.1227 0.6393  1 P 1.54
O 0.9629 0.7937 0.8059  1 P 1.52
O 0.4669 0.2992 0.0257  1 P 1.54
O 0.8392 0.5219 0.7449  1 P 1.56
O 0.6323 0.1204 0.1423  1 P 1.54
O 0.5048 0.6295 0.8587  1 P 1.58
O 0.1143 0.6282 0.3586  1 P 1.56
O 0.0388 0.2152 0.1902  1 P 1.56
O 0.8803 0.3722 0.6420  1 P 1.56
O 0.1676 0.4790 0.2558  1 P 1.55
O 0.1410 0.6373 0.0762  1 P 1.54
O 0.8807 0.5086 0.1414  1 P 1.56
O 0.1720 0.9576 0.1926  1 P 1.55
O 0.1692 0.9779 0.9100  1 P 1.52
O 0.5141 0.8852 0.3585  1 P 1.56
O 0.1243 0.4952 0.8587  1 P 1.58
O 0.8534 0.3614 0.9232  1 P 1.57
O 0.3011 0.8443 0.9746  1 P 1.53
O 0.8334 0.8076 0.5877  1 P 1.56
O 0.8333 0.7936 0.3048  1 P 1.52
O 0.5183 0.8241 0.7587  1 P 1.58
O 0.3565 0.8583 0.5763  1 P 1.56
O 0.1727 0.6871 0.7583  1 P 1.58
O 0.1411 0.5033 0.5764  1 P 1.54
O 0.8331 0.0261 0.0870  1 P 1.56
O 0.3120 0.8325 0.2566  1 P 1.56
O 0.5081 0.3590 0.4240  1 P 1.57
O 0.6888 0.5212 0.2436  1 P 1.56
O 0.4998 0.8542 0.0767  1 P 1.54
O 0.2082 0.1754 0.8085  1 P 1.51
O 0.4999 0.6455 0.5769  1 P 1.54
P 0.0002 0.2903 0.2498  4 O 1.52-1.56
P 0.3340 0.9590 0.9174  4 O 1.52-1.57
P 0.0407 0.3751 0.9178  4 O 1.52-1.58
P 0.6623 0.0432 0.0825  4 O 1.54-1.56
P 0.6276 0.9626 0.4179  4 O 1.53-1.57
P 0.7058 0.9987 0.7510  4 O 1.53-1.58
P 0.0055 0.7127 0.7509  4 O 1.52-1.58
P 0.9574 0.6237 0.0822  4 O 1.54-1.56
P 0.2898 0.9994 0.2506  4 O 1.52-1.56
P 0.0373 0.6646 0.4181  4 O 1.53-1.57
P 0.9572 0.3338 0.5830  4 O 1.54-1.56
P 0.3775 0.0474 0.5821  4 O 1.54-1.56
P 0.6250 0.6659 0.9176  4 O 1.53-1.58
P 0.3350 0.3728 0.4173  4 O 1.53-1.57
P 0.2912 0.2895 0.7519  4 O 1.51-1.60
P 0.3771 0.3297 0.0821  4 O 1.54-1.56
P 0.7100 0.7103 0.2498  4 O 1.52-1.56
P 0.6624 0.6190 0.5832  4 O 1.54-1.56
Ge 0.6649 0.3321 0.9778  6 O 1.90-1.93
Ge 0.3342 0.6730 0.8180  6 O 1.85-2.03
Ge 0.6643 0.3324 0.4789  6 O 1.89-1.93
Na 0.9986 0.3621 0.7498  6 O 2.35-2.62
Na 0.6392 0.6346 0.7495  6 O 2.35-2.63
Na 0.0005 0.6352 0.2525  6 O 2.36-2.64
Na 0.3333 0.6662 0.6649  6 O 2.46-2.53
Na 0.6663 0.3333 0.3378  6 O 2.40-2.56
Na 0.0335 0.7016 0.5820  6 O 2.33-2.57
Na 0.6343 0.9998 0.2525  6 O 2.36-2.62
Na 0.6647 0.9654 0.5818  5 O 2.31-2.53
Na 0.3652 0.3655 0.2529  5 O 2.36-2.48
Na 0.0078 0.9990 0.9959  6 O 2.39-2.57
Na 0.0079 0.0087 0.4966  6 O 2.37-2.57
Na 0.0336 0.3318 0.0821  6 O 2.33-2.57